-- Entries --
=====
No. 1
VASP calculation (GGA-PBE) on an optimized crystal structure of TbZnGaAu.

It has space group F-43m (No. 216), with a = 6.802 Å, b = 6.802 Å, c = 6.802 Å, α = 90.00°, β = 90.00° and γ = 90.00°. The distinct sites, in fractional coordinates, are Tb at (0.000, 0.000, 0.000), Zn at (0.250, 0.250, 0.250), Ga at (0.000, 0.000, 0.500) and Au at (0.250, 0.250, 0.750).

The calculation puts the energy of formation from the pure elements at -0.50 eV per atom.

No. 2
VASP calculation (GGA-PBE) on an optimized crystal structure of WAuBr2.

It has space group Imm2 (No. 44), with a = 3.062 Å, b = 4.865 Å, c = 13.394 Å, α = 90.00°, β = 90.00° and γ = 90.00°. The distinct sites, in fractional coordinates, are W at (0.000, 0.000, 0.000), Au at (0.000, 0.500, 0.672), Br at (0.000, 0.000, 0.514) and Br at (0.000, 0.500, 0.342).

The calculation puts the uncorrected formation energy at 2.27 eV per formula unit. Its polymorph energy (0 for the lowest one) is 0.3509 eV per atom.

No. 3
VASP calculation (GGA-PBE) on an optimized crystal structure of Tb4ThSc.

It has space group C2/m (No. 12), with a = 11.140 Å, b = 5.022 Å, c = 6.935 Å, α = 90.00°, β = 108.09° and γ = 90.00°. The distinct sites, in fractional coordinates, are Tb at (0.163, 0.000, 0.331), Tb at (0.163, 0.000, 0.833), Th at (0.000, 0.500, 0.000) and Sc at (0.000, 0.500, 0.500).

Its polymorph energy (0 for the lowest one) is 0.0093 eV per atom. The calculation puts the energy of formation from the pure elements at 0.04 eV per atom.

No. 4
VASP calculation (GGA-PBE) on an optimized crystal structure of NaYAu2N.

It has space group P4/mmm (No. 123), with a = 4.810 Å, b = 4.810 Å, c = 4.446 Å, α = 90.00°, β = 90.00° and γ = 90.00°. The distinct sites, in fractional coordinates, are Na at (0.000, 0.000, 0.000), Y at (0.500, 0.500, 0.000), Au at (0.000, 0.500, 0.500) and N at (0.500, 0.500, 0.500).

The calculation puts the uncorrected formation energy at -0.41 eV per formula unit.

No. 5
VASP calculation (GGA-PBE) on an optimized crystal structure of La6Sm2DyMg.

It has space group C2/c (No. 15), with a = 10.677 Å, b = 13.873 Å, c = 9.475 Å, α = 90.00°, β = 98.36° and γ = 90.00°. The distinct sites, in fractional coordinates, are La at (0.057, 0.122, 0.100), La at (0.087, 0.334, 0.917), La at (0.246, 0.288, 0.326), Sm at (0.231, 0.467, 0.593), Dy at (0.000, 0.430, 0.250) and Mg at (0.000, 0.095, 0.750).

The calculation puts the energy of formation from the pure elements at 0.09 eV per atom.

No. 6
VASP calculation (GGA-PBE) on an optimized crystal structure of MnAsH.

It has space group P1 (No. 1), with a = 2.817 Å, b = 2.817 Å, c = 12.710 Å, α = 92.16°, β = 93.33° and γ = 119.92°. The distinct sites, in fractional coordinates, are Mn at (0.000, 0.000, 0.000), Mn at (0.403, 0.726, 0.149), As at (0.140, 0.121, 0.302), As at (0.595, 0.272, 0.844), H at (0.661, 0.870, 0.596) and H at (0.784, 0.789, 0.552).

Its polymorph energy (0 for the lowest one) is 0.0889 eV per atom.

No. 7
VASP calculation (GGA-PBE) on an optimized crystal structure of PdSeNF2.

It has space group P4/mmm (No. 123), with a = 4.231 Å, b = 4.231 Å, c = 3.983 Å, α = 90.00°, β = 90.00° and γ = 90.00°. The distinct sites, in fractional coordinates, are Pd at (0.000, 0.000, 0.000), Se at (0.500, 0.500, 0.500), N at (0.000, 0.000, 0.500) and F at (0.000, 0.500, 0.000).

The calculation puts the uncorrected formation energy at 1.51 eV per formula unit. Its polymorph energy (0 for the lowest one) is 0.0100 eV per atom.

No. 8
VASP calculation (GGA-PBE) on an optimized crystal structure of MgCd2Cu.

It has space group I4/mmm (No. 139), with a = 4.264 Å, b = 4.264 Å, c = 8.213 Å, α = 90.00°, β = 90.00° and γ = 90.00°. The distinct sites, in fractional coordinates, are Mg at (0.000, 0.000, 0.000), Cd at (0.000, 0.500, 0.250) and Cu at (0.000, 0.000, 0.500).

The calculation puts the energy of formation from the pure elements at 0.00 eV per atom.

No. 9
=====

-- To do --
Could you duplicate the part of the entries further up that starts with the line with "6.802 Å," and stops after the one with "0.000) and"?

-- Worked solution --
It has space group F-43m (No. 216), with a = 6.802 Å, b = 6.802 Å, c = 6.802 Å, α = 90.00°, β = 90.00° and γ = 90.00°. The distinct sites, in fractional coordinates, are Tb at (0.000, 0.000, 0.000), Zn at (0.250, 0.250, 0.250), Ga at (0.000, 0.000, 0.500) and Au at (0.250, 0.250, 0.750).

The calculation puts the energy of formation from the pure elements at -0.50 eV per atom.

No. 2
VASP calculation (GGA-PBE) on an optimized crystal structure of WAuBr2.

It has space group Imm2 (No. 44), with a = 3.062 Å, b = 4.865 Å, c = 13.394 Å, α = 90.00°, β = 90.00° and γ = 90.00°. The distinct sites, in fractional coordinates, are W at (0.000, 0.000, 0.000), Au at (0.000, 0.500, 0.672), Br at (0.000, 0.000, 0.514) and Br at (0.000, 0.500, 0.342).

The calculation puts the uncorrected formation energy at 2.27 eV per formula unit. Its polymorph energy (0 for the lowest one) is 0.3509 eV per atom.

No. 3
VASP calculation (GGA-PBE) on an optimized crystal structure of Tb4ThSc.

It has space group C2/m (No. 12), with a = 11.140 Å, b = 5.022 Å, c = 6.935 Å, α = 90.00°, β = 108.09° and γ = 90.00°. The distinct sites, in fractional coordinates, are Tb at (0.163, 0.000, 0.331), Tb at (0.163, 0.000, 0.833), Th at (0.000, 0.500, 0.000) and Sc at (0.000, 0.500, 0.500).